== Wanted ==
Your job: restate the data underneath character by character.

== File ==
********
Density functional theory data (meta-GGA r2SCAN) for a relaxed CdCuF4 crystal.

POSCAR file:
```
CdCuF4
1.0
-2.670 2.670 5.143
2.670 -2.670 5.143
2.670 2.670 -5.143
Cd Cu F
2 2 8
Cartesian
0.000 0.000 2.571
0.000 0.000 7.714
2.670 0.000 0.000
0.000 2.670 0.000
3.639 0.969 -1.313
0.969 1.702 -1.313
3.639 0.969 1.313
0.969 1.702 1.313
1.702 0.969 3.830
-0.969 1.702 3.830
1.702 0.969 6.456
-0.969 1.702 6.456
```

Summary:
Space-group type = I4/mcm
DFT formation energy = -2.1500 eV per atom
Calculated volume = 12.22 A^3/atom



Density functional theory data (meta-GGA r2SCAN) for a relaxed LuTlRh2 crystal.

POSCAR file:
```
LuTlRh2
1.0
0.000 3.280 3.280
3.280 0.000 3.280
3.280 3.280 0.000
Lu Tl Rh
1 1 2
Cartesian
0.000 0.000 0.000
3.280 3.280 3.280
1.640 1.640 1.640
4.920 4.920 4.920
```

Summary:
Space-group type = Fm-3m
DFT formation energy = -0.6637 eV per atom
Calculated volume = 17.65 A^3/atom



Density functional theory data (meta-GGA r2SCAN) for a relaxed LaThPb6 crystal.

POSCAR file:
```
LaThPb6
1.0
4.893 0.000 0.000
0.000 4.893 0.000
0.000 0.000 9.977
La Th Pb
1 1 6
Cartesian
0.000 0.000 0.000
0.000 0.000 4.989
0.000 2.447 2.511
0.000 2.447 7.466
2.447 0.000 2.511
2.447 0.000 7.466
2.447 2.447 0.000
2.447 2.447 4.989
```

Summary:
Space-group type = P4/mmm
DFT formation energy = -0.4317 eV per atom
Calculated volume = 29.86 A^3/atom



Density functional theory data (meta-GGA r2SCAN) for a relaxed LaEuCd2 crystal.

POSCAR file:
```
LaEuCd2
1.0
0.000 3.923 3.923
3.923 0.000 3.923
3.923 3.923 0.000
La Eu Cd
1 1 2
Cartesian
0.000 0.000 0.000
3.923 3.923 3.923
1.962 1.962 1.962
5.885 5.885 5.885
```

Summary:
Space-group type = Fm-3m
DFT formation energy = -0.3809 eV per atom
Calculated volume = 30.19 A^3/atom



Density functional theory data (meta-GGA r2SCAN) for a relaxed Rb2LiVO4 crystal.

POSCAR file:
```
Rb2LiVO4
1.0
2.929 -5.846 0.000
2.929 5.846 0.000
0.000 0.000 7.875
Rb Li V O
4 2 2 8
Cartesian
2.929 5.116 3.938
2.929 1.218 2.846
2.929 -1.218 6.784
2.929 -5.116 0.000
2.929 3.493 0.642
2.929 -3.493 4.580
2.929 2.234 6.300
2.929 -2.234 2.362
1.526 1.706 5.458
2.929 3.940 6.565
2.929 1.574 0.015
1.526 -1.706 1.520
4.332 1.706 5.458
2.929 -1.574 3.953
2.929 -3.940 2.627
4.332 -1.706 1.520
```

Summary:
Space-group type = Cmc2_1
DFT formation energy = -2.4318 eV per atom
Calculated volume = 16.85 A^3/atom



Density functional theory data (meta-GGA r2SCAN) for a relaxed Cs3YO3 crystal.

POSCAR file:
```
Cs3YO3
1.0
3.968 -6.379 0.000
3.968 6.379 0.000
-1.443 0.000 7.481
Cs Y O
6 2 6
Cartesian
3.968 3.702 0.000
3.247 3.028 3.741
2.610 0.000 1.100
3.884 0.000 6.381
3.247 -3.028 3.741
3.968 -3.702 0.000
0.435 0.000 4.872
6.059 0.000 2.609
0.300 0.000 2.683
1.284 1.733 5.736
1.284 -1.733 5.736
5.211 1.733 1.746
5.211 -1.733 1.746
6.194 0.000 4.798
```

Summary:
Space-group type = C2/m
Relative energy among the computed polymorphs = 1.18 kJ/mol of atoms
DFT formation energy = -2.1045 eV per atom
Calculated volume = 27.06 A^3/atom



Density functional theory data (meta-GGA r2SCAN) for a relaxed Y3Sb4Au3 crystal.

POSCAR file:
```
Y3Sb4Au3
1.0
-4.952 4.952 4.952
4.952 -4.952 4.952
4.952 4.952 -4.952
Y Sb Au
6 8 6
Cartesian
4.952 -2.476 3.714
3.714 4.952 -2.476
4.952 2.476 1.238
2.476 1.238 4.952
1.238 4.952 2.476
-2.476 3.714 4.952
3.337 1.615 -1.615
5.813 -0.861 0.861
1.615 -1.615 3.337
1.615 1.615 1.615
-1.615 3.337 1.615
0.861 5.813 -0.861
-0.861 0.861 5.813
4.091 4.091 4.091
7.428 1.238 0.000
3.714 0.000 2.476
2.476 3.714 0.000
0.000 2.476 3.714
1.238 0.000 7.428
0.000 7.428 1.238
```

Summary:
Space-group type = I-43d
DFT formation energy = -0.9369 eV per atom
Calculated volume = 24.29 A^3/atom



Density functional theory data (meta-GGA r2SCAN) for a relaxed Sc11Ga9 crystal.

POSCAR file:
```
Sc11Ga9
1.0
0.000 7.557 7.560
7.017 0.000 7.560
7.017 7.557 0.000
Sc Ga
22 18
Cartesian
0.000 0.000 0.000
5.043 4.915 0.719
1.973 2.642 0.719
5.144 1.713 5.191
8.888 5.845 7.255
5.037 4.917 4.162
1.980 2.641 4.162
********

== Completed ==
Density functional theory data (meta-GGA r2SCAN) for a relaxed CdCuF4 crystal.

POSCAR file:
```
CdCuF4
1.0
-2.670 2.670 5.143
2.670 -2.670 5.143
2.670 2.670 -5.143
Cd Cu F
2 2 8
Cartesian
0.000 0.000 2.571
0.000 0.000 7.714
2.670 0.000 0.000
0.000 2.670 0.000
3.639 0.969 -1.313
0.969 1.702 -1.313
3.639 0.969 1.313
0.969 1.702 1.313
1.702 0.969 3.830
-0.969 1.702 3.830
1.702 0.969 6.456
-0.969 1.702 6.456
```

Summary:
Space-group type = I4/mcm
DFT formation energy = -2.1500 eV per atom
Calculated volume = 12.22 A^3/atom



Density functional theory data (meta-GGA r2SCAN) for a relaxed LuTlRh2 crystal.

POSCAR file:
```
LuTlRh2
1.0
0.000 3.280 3.280
3.280 0.000 3.280
3.280 3.280 0.000
Lu Tl Rh
1 1 2
Cartesian
0.000 0.000 0.000
3.280 3.280 3.280
1.640 1.640 1.640
4.920 4.920 4.920
```

Summary:
Space-group type = Fm-3m
DFT formation energy = -0.6637 eV per atom
Calculated volume = 17.65 A^3/atom



Density functional theory data (meta-GGA r2SCAN) for a relaxed LaThPb6 crystal.

POSCAR file:
```
LaThPb6
1.0
4.893 0.000 0.000
0.000 4.893 0.000
0.000 0.000 9.977
La Th Pb
1 1 6
Cartesian
0.000 0.000 0.000
0.000 0.000 4.989
0.000 2.447 2.511
0.000 2.447 7.466
2.447 0.000 2.511
2.447 0.000 7.466
2.447 2.447 0.000
2.447 2.447 4.989
```

Summary:
Space-group type = P4/mmm
DFT formation energy = -0.4317 eV per atom
Calculated volume = 29.86 A^3/atom



Density functional theory data (meta-GGA r2SCAN) for a relaxed LaEuCd2 crystal.

POSCAR file:
```
LaEuCd2
1.0
0.000 3.923 3.923
3.923 0.000 3.923
3.923 3.923 0.000
La Eu Cd
1 1 2
Cartesian
0.000 0.000 0.000
3.923 3.923 3.923
1.962 1.962 1.962
5.885 5.885 5.885
```

Summary:
Space-group type = Fm-3m
DFT formation energy = -0.3809 eV per atom
Calculated volume = 30.19 A^3/atom



Density functional theory data (meta-GGA r2SCAN) for a relaxed Rb2LiVO4 crystal.

POSCAR file:
```
Rb2LiVO4
1.0
2.929 -5.846 0.000
2.929 5.846 0.000
0.000 0.000 7.875
Rb Li V O
4 2 2 8
Cartesian
2.929 5.116 3.938
2.929 1.218 2.846
2.929 -1.218 6.784
2.929 -5.116 0.000
2.929 3.493 0.642
2.929 -3.493 4.580
2.929 2.234 6.300
2.929 -2.234 2.362
1.526 1.706 5.458
2.929 3.940 6.565
2.929 1.574 0.015
1.526 -1.706 1.520
4.332 1.706 5.458
2.929 -1.574 3.953
2.929 -3.940 2.627
4.332 -1.706 1.520
```

Summary:
Space-group type = Cmc2_1
DFT formation energy = -2.4318 eV per atom
Calculated volume = 16.85 A^3/atom



Density functional theory data (meta-GGA r2SCAN) for a relaxed Cs3YO3 crystal.

POSCAR file:
```
Cs3YO3
1.0
3.968 -6.379 0.000
3.968 6.379 0.000
-1.443 0.000 7.481
Cs Y O
6 2 6
Cartesian
3.968 3.702 0.000
3.247 3.028 3.741
2.610 0.000 1.100
3.884 0.000 6.381
3.247 -3.028 3.741
3.968 -3.702 0.000
0.435 0.000 4.872
6.059 0.000 2.609
0.300 0.000 2.683
1.284 1.733 5.736
1.284 -1.733 5.736
5.211 1.733 1.746
5.211 -1.733 1.746
6.194 0.000 4.798
```

Summary:
Space-group type = C2/m
Relative energy among the computed polymorphs = 1.18 kJ/mol of atoms
DFT formation energy = -2.1045 eV per atom
Calculated volume = 27.06 A^3/atom



Density functional theory data (meta-GGA r2SCAN) for a relaxed Y3Sb4Au3 crystal.

POSCAR file:
```
Y3Sb4Au3
1.0
-4.952 4.952 4.952
4.952 -4.952 4.952
4.952 4.952 -4.952
Y Sb Au
6 8 6
Cartesian
4.952 -2.476 3.714
3.714 4.952 -2.476
4.952 2.476 1.238
2.476 1.238 4.952
1.238 4.952 2.476
-2.476 3.714 4.952
3.337 1.615 -1.615
5.813 -0.861 0.861
1.615 -1.615 3.337
1.615 1.615 1.615
-1.615 3.337 1.615
0.861 5.813 -0.861
-0.861 0.861 5.813
4.091 4.091 4.091
7.428 1.238 0.000
3.714 0.000 2.476
2.476 3.714 0.000
0.000 2.476 3.714
1.238 0.000 7.428
0.000 7.428 1.238
```

Summary:
Space-group type = I-43d
DFT formation energy = -0.9369 eV per atom
Calculated volume = 24.29 A^3/atom



Density functional theory data (meta-GGA r2SCAN) for a relaxed Sc11Ga9 crystal.

POSCAR file:
```
Sc11Ga9
1.0
0.000 7.557 7.560
7.017 0.000 7.560
7.017 7.557 0.000
Sc Ga
22 18
Cartesian
0.000 0.000 0.000
5.043 4.915 0.719
1.973 2.642 0.719
5.144 1.713 5.191
8.888 5.845 7.255
5.037 4.917 4.162
1.980 2.641 4.162